File =
~~~
# 1
# HfFeP3

Crystalline HfFeP3 at its relaxed geometry (PBE, the Alexandria database).

Cell lengths 4.9276, 4.9276, 4.9276 Å; angles 90.00, 90.00, 90.00 degrees
Last column: nearest neighbours and their distance in Å.
Fractional positions:
Hf: 0.0000 0.0000 0.0000  6 P 2.46
Fe: 0.5000 0.5000 0.5000  12 P 3.48
P: 0.0000 0.0000 0.5000  2 Hf 2.46
P: 0.0000 0.5000 0.0000  2 Hf 2.46
P: 0.5000 0.0000 0.0000  2 Hf 2.46

formation energy from the elements: 4.112 eV/f.u.
V: 119.6 Å³/cell
ρ: 4.5 Mg/m³

=====

# 2
# Hf2Fe12P7

Crystalline Hf2Fe12P7 at its relaxed geometry (PBE, the Alexandria database).

Cell lengths 8.8413, 8.8413, 3.5743 Å; angles 90.00, 90.00, 120.00 degrees
Last column: nearest neighbours and their distance in Å.
Fractional positions:
Hf: 0.0000 0.0000 0.0000  6 P 2.79, 9 Fe 2.90-2.99
Hf: 0.3333 0.6667 0.5000  6 P 2.75, 9 Fe 2.88-3.06
Fe: 0.0524 0.7717 0.5000  4 P 2.18-2.26
Fe: 0.0982 0.3953 0.0000  4 P 2.17-2.30
Fe: 0.2283 0.2807 0.5000  4 P 2.18-2.26
Fe: 0.2971 0.9018 0.0000  4 P 2.17-2.30
Fe: 0.3900 0.2132 0.0000  4 P 2.12-2.24
Fe: 0.5446 0.1126 0.5000  5 P 2.27-2.49
Fe: 0.5680 0.4554 0.5000  5 P 2.27-2.49
Fe: 0.6047 0.7029 0.0000  4 P 2.17-2.30
Fe: 0.7193 0.9476 0.5000  4 P 2.18-2.26
Fe: 0.7868 0.1768 0.0000  4 P 2.12-2.24
Fe: 0.8232 0.6100 0.0000  4 P 2.12-2.24
Fe: 0.8874 0.4320 0.5000  5 P 2.27-2.49
P: 0.0806 0.6312 0.0000  5 Fe 2.17-2.26
P: 0.2610 0.0445 0.5000  7 Fe 2.18-2.30
P: 0.3688 0.4495 0.0000  5 Fe 2.17-2.26
P: 0.5505 0.9194 0.0000  5 Fe 2.17-2.26
P: 0.6667 0.3333 0.0000  3 Fe 2.12
P: 0.7836 0.7390 0.5000  7 Fe 2.18-2.30
P: 0.9555 0.2164 0.5000  7 Fe 2.18-2.30

formation energy from the elements: -15.207 eV/f.u.
V: 242.0 Å³/cell
ρ: 8.5 Mg/m³

=====

# 3
# HfFe3P

Crystalline HfFe3P at its relaxed geometry (PBE, the Alexandria database).

Cell lengths 4.5747, 4.5747, 4.5747 Å; angles 90.00, 90.00, 90.00 degrees
Last column: nearest neighbours and their distance in Å.
Fractional positions:
Hf: 0.0000 0.0000 0.0000  6 Fe 2.29
Fe: 0.0000 0.0000 0.5000  2 Hf 2.29
Fe: 0.0000 0.5000 0.0000  2 Hf 2.29
Fe: 0.5000 0.0000 0.0000  2 Hf 2.29
P: 0.5000 0.5000 0.5000  12 Fe 3.23

formation energy from the elements: 8.512 eV/f.u.
V: 95.7 Å³/cell
ρ: 6.5 Mg/m³

=====

# 4
# HfFeP3

Crystalline HfFeP3 at its relaxed geometry (PBE, the Alexandria database).

Cell lengths 4.3849, 4.3849, 4.3849 Å; angles 90.00, 90.00, 90.00 degrees
Last column: nearest neighbours and their distance in Å.
Fractional positions:
Hf: 0.0000 0.0000 0.0000  12 P 3.10
Fe: 0.5000 0.5000 0.5000  6 P 2.19
P: 0.0000 0.5000 0.5000  2 Fe 2.19
P: 0.5000 0.0000 0.5000  2 Fe 2.19
P: 0.5000 0.5000 0.0000  2 Fe 2.19

formation energy from the elements: 1.494 eV/f.u.
V: 84.3 Å³/cell
ρ: 6.4 Mg/m³

=====

# 5
# HfFe5P3

Crystalline HfFe5P3 at its relaxed geometry (PBE, the Alexandria database).

Cell lengths 5.9361, 5.9361, 11.1076 Å; angles 90.00, 90.00, 145.51 degrees
Last column: nearest neighbours and their distance in Å.
Fractional positions:
Hf: 0.1606 0.8394 0.7500  7 P 2.93-3.23, 8 Fe 3.08-3.15
Hf: 0.8394 0.1606 0.2500  7 P 2.93-3.23, 8 Fe 3.08-3.15
Fe: 0.0000 0.0000 0.0000  4 P 2.26, 6 Fe 2.40-2.48
Fe: 0.0000 0.0000 0.5000  4 P 2.26, 6 Fe 2.40-2.48
Fe: 0.1995 0.8005 0.0734  2 P 2.10-2.14
Fe: 0.1995 0.8005 0.4266  2 P 2.10-2.14
Fe: 0.4517 0.5483 0.6499  3 Fe 2.22-2.48, 4 P 2.23-2.29
Fe: 0.4517 0.5483 0.8501  3 Fe 2.22-2.48, 4 P 2.23-2.29
Fe: 0.5483 0.4517 0.1499  3 Fe 2.22-2.48, 4 P 2.23-2.29
Fe: 0.5483 0.4517 0.3501  3 Fe 2.22-2.48, 4 P 2.23-2.29
Fe: 0.8005 0.1995 0.5734  2 P 2.10-2.14
Fe: 0.8005 0.1995 0.9266  2 P 2.10-2.14
P: 0.1240 0.8760 0.2500  6 Fe 2.14-2.25
P: 0.3820 0.6180 0.0432  5 Fe 2.10-2.29
P: 0.3820 0.6180 0.4568  5 Fe 2.10-2.29
P: 0.6180 0.3820 0.5432  5 Fe 2.10-2.29
P: 0.6180 0.3820 0.9568  5 Fe 2.10-2.29
P: 0.8760 0.1240 0.7500  6 Fe 2.14-2.25

formation energy from the elements: -4.519 eV/f.u.
V: 221.6 Å³/cell
ρ: 8.3 Mg/m³

=====

# 6
# Hf2Fe2P

Crystalline Hf2Fe2P at its relaxed geometry (PBE, the Alexandria database).
~~~
To do =
What is needed: filter the lines earlier on: keep the lines with the word "and".
Here it is =
Last column: nearest neighbours and their distance in Å.
Last column: nearest neighbours and their distance in Å.
Last column: nearest neighbours and their distance in Å.
Last column: nearest neighbours and their distance in Å.
Last column: nearest neighbours and their distance in Å.